Houston Fire Department Champions Autism Acceptance with Special Training Session

Jo-Carolyn Goode | 4/23/2024, 9:13 a.m.
In a pioneering initiative timed with Autism Acceptance Month, the Houston Fire Department (HFD) has partnered with Avondale House to …

In a pioneering initiative timed with Autism Acceptance Month, the Houston Fire Department (HFD) has partnered with Avondale House to enhance first responders’ understanding of cognitive disabilities. This crucial training session took place on April 23, 2024, at 10 a.m. It was hosted at Houston Fire Station 21 located at 10515 S. Main St., Houston.

The collaboration highlights the HFD’s commitment to not only serving but also understanding the diverse needs of all community members, especially those with cognitive disabilities who might find emergency situations particularly overwhelming. This educational effort aims to equip firefighters and EMS personnel with the necessary skills and knowledge to effectively interact with citizens experiencing cognitive challenges during emergencies.

Empowering First Responders with Key Insights:

Understanding Autism and Cognitive Disabilities: The training will focus on the unique behaviors and needs of individuals with cognitive disabilities, promoting a better understanding among first responders.

Communication Techniques: Participants will learn specialized communication tactics that can be crucial in high-stress situations involving individuals with autism or other cognitive impairments.

Scenario-Based Training: Practical exercises will simulate real-life situations, providing hands-on experience for emergency personnel.

This initiative, in collaboration with Avondale House — a local nonprofit organization dedicated to providing education, training, and supportive services for individuals with autism and similar challenges — underscores a community-oriented approach to emergency response. 

“As first responders, it’s imperative that we can effectively serve everyone in our community, including those with special sensory and cognitive needs,” said a spokesperson for the Houston Fire Department. “This training is a vital part of our ongoing commitment to enhance the safety and well-being of all Houston residents.”

Community Impact and Ongoing Commitment:

Crystal structures, as found in the file >
........
A plane-wave DFT calculation with PBE-GGA was carried out for crystalline Li2Cu3Ge at its relaxed geometry.

Values from the calculation:
Formation energy from the elements: -0.18 eV/atom
Final energy: -65.42 eV for the cell shown

abc: 4.9675 4.9675 11.8476
angles: 90.00 90.00 120.00
Space group R-3m (No. 166, hexagonal axes)
Asymmetric unit:
Li 0.0000 0.0000 0.1264 (multiplicity 6)
Cu 0.0000 0.5000 0.0000 (multiplicity 9)
Ge 0.0000 0.0000 0.5000 (multiplicity 3)


VASP calculation (meta-GGA r2SCAN) on a relaxed Ce4GeS3 crystal.

Energy relative to the elements   -2.0248 eV/atom

Lattice parameters (Å, degrees): 5.906 5.906 11.823 90.00 90.00 90.00
Sites, in units of the cell vectors:
Ce1 0.000 0.000 0.249
Ce2 0.000 0.000 0.751
Ce3 0.000 0.500 0.000
Ce4 0.000 0.500 0.500
Ce5 0.500 0.000 0.000
Ce6 0.500 0.000 0.500
Ce7 0.500 0.500 0.251
Ce8 0.500 0.500 0.749
Ge1 0.000 0.000 0.500
Ge2 0.500 0.500 0.000
S1 0.000 0.000 0.000
S2 0.000 0.500 0.250
S3 0.000 0.500 0.750
S4 0.500 0.000 0.250
S5 0.500 0.000 0.750
S6 0.500 0.500 0.500


This record from the Materials Project describes a relaxed CoPS crystal. The functional is r2SCAN.

Structure (POSCAR):
```
CoPS
1.0
-4.3307 -1.3646 -2.9258
1.8772 -5.0471 -0.4247
-2.6265 -1.3574 4.5207
Co P S
4 4 4
direct
0.4975 0.5025 0.0025
0.5025 0.0025 0.4975
0.0025 0.4975 0.5025
0.9975 0.9975 0.9975
0.8857 0.1143 0.6143
0.1143 0.6143 0.8857
0.6143 0.8857 0.1143
0.3857 0.3857 0.3857
0.1148 0.8852 0.3852
0.8852 0.3852 0.1148
0.3852 0.1148 0.8852
0.6148 0.6148 0.6148
```

Output
The value obtained for the volume is 13.1 A^3/atom. Its calculated formation energy is -0.582 eV/atom. Its crystal system is cubic.

This record from the Materials Project describes a relaxed ScCoP crystal. The functional is r2SCAN.

Structure (POSCAR):
```
ScCoP
1.0
3.7892 0.0000 0.0000
0.0000 6.2652 -0.0014
0.0000 -0.0015 6.9347
Sc Co P
4 4 4
direct
0.2500 0.0105 0.8115
0.2500 0.5105 0.6886
0.7500 0.9895 0.1885
0.7500 0.4895 0.3114
0.2500 0.1504 0.4383
0.2500 0.6504 0.0617
0.7500 0.8496 0.5617
0.7500 0.3496 0.9383
0.2500 0.2820 0.1136
0.2500 0.7820 0.3864
0.7500 0.7179 0.8864
0.7500 0.2180 0.6136
```

Output
The value obtained for the volume is 13.7 A^3/atom. Its calculated formation energy is -1.138 eV/atom. Its crystal system is orthorhombic.

This record from the Materials Project describes a relaxed SmCo5P3 crystal. The functional is r2SCAN.

Structure (POSCAR):
```
SmCo5P3
1.0
-1.9374 2.9088 1.1343
-8.7105 -5.2315 -1.4620
0.5220 -3.9475 11.0150
Sm Co P
4 20 12
direct
0.2500 0.5826 0.7008
0.2500 0.9174 0.2008
0.7500 0.4174 0.2992
0.7500 0.0826 0.7992
0.2500 0.7095 0.9882
0.2500 0.7905 0.4882
0.7500 0.2905 0.0118
0.7500 0.2095 0.5118
0.2500 0.4044 0.4887
0.2500 0.0956 0.9887
0.7500 0.5956 0.5113
0.7500 0.9044 0.0113
0.2500 0.2210 0.1748
0.2500 0.2790 0.6748
0.7500 0.7790 0.8252
0.7500 0.7210 0.3252
0.2500 0.8828 0.6974
0.2500 0.6172 0.1974
0.7500 0.1172 0.3026
0.7500 0.3828 0.8026
0.2500 0.4677 0.9338
0.2500 0.0323 0.4338
........

The program is not just a one-off event but part of a broader strategy to integrate specialized knowledge into the regular training curriculum for Houston’s first responders. By fostering an environment of empathy and competence, the HFD aims to enhance interactions and outcomes during emergency responses involving citizens with cognitive disabilities.

This training session represents a significant step forward in building a more inclusive and aware Houston. For more information on the Houston Fire Department’s efforts and future initiatives like this, please visit [Houston Fire Department's Official Website](http://www.houstontx.gov/fire).